********
(1)
SnIr3: optimized geometry, GGA-PBE.

The calculation puts the formation energy at 3.7 kJ/mol of atoms. The calculation puts the density at 18.2 g/cm3.

It has space group P6_3/mmc (No. 194), with a = 5.6860 Å, b = 5.6860 Å, c = 4.5379 Å, α = 90.00°, β = 90.00° and γ = 120.00°. The asymmetric unit holds Sn at (0.3333, 0.6667, 0.2500) and Ir at (0.1628, 0.3256, 0.7500).

---

(2)
Sn7Ir3: optimized geometry, GGA-PBE.

The calculation puts the formation energy at -25.5 kJ/mol of atoms. The calculation puts the density at 10.8 g/cm3.

It has space group Im-3m (No. 229), with a = 9.522 Å, b = 9.522 Å, c = 9.522 Å, α = 90.00°, β = 90.00° and γ = 90.00°. The asymmetric unit holds Sn at (0.000, 0.250, 0.500), Sn at (0.165, 0.165, 0.165) and Ir at (0.000, 0.000, 0.342).

---

(3)
Sn4Ir: optimized geometry, GGA-PBE.

The calculation puts the formation energy at -19.8 kJ/mol of atoms. The calculation puts the density at 9.3 g/cm3.

It has space group I4_1/acd (No. 142, origin choice 2), with a = 6.417 Å, b = 6.417 Å, c = 23.212 Å, α = 90.00°, β = 90.00° and γ = 90.00°. The asymmetric unit holds Sn at (0.173, 0.076, 0.438) and Ir at (0.000, 0.250, 0.125).

---

(4)
Sn4Ir: optimized geometry, GGA-PBE.

The calculation puts the formation energy at -19.0 kJ/mol of atoms. The calculation puts the density at 9.3 g/cm3.

It has space group Ccce (No. 68, origin choice 2), with a = 6.447 Å, b = 11.484 Å, c = 6.426 Å, α = 90.00°, β = 90.00° and γ = 90.00°. The asymmetric unit holds Sn at (0.173, 0.125, 0.077) and Ir at (0.000, 0.250, 0.750).

---

(5)
Sn7Ir5: optimized geometry, GGA-PBE.

The calculation puts the formation energy at -25.8 kJ/mol of atoms. The calculation puts the density at 12.1 g/cm3.

It has space group I4mm (No. 107), with a = 8.677 Å, b = 8.677 Å, c = 6.548 Å, α = 90.00°, β = 90.00° and γ = 90.00°. The asymmetric unit holds Sn at (0.000, 0.000, 0.000), Sn at (0.000, 0.500, 0.486), Sn at (0.215, 0.215, 0.390), Ir at (0.000, 0.000, 0.401) and Ir at (0.000, 0.243, 0.724).

---

(6)
TiSnIr: optimized geometry, GGA-PBE.

The calculation puts the formation energy at -54.9 kJ/mol of atoms. The calculation puts the density at 9.9 g/cm3.

It has space group F-43m (No. 216), with a = 6.212 Å, b = 6.212 Å, c = 6.212 Å, α = 90.00°, β = 90.00° and γ = 90.00°. The asymmetric unit holds Ti at (0.000, 0.000, 0.000), Sn at (0.000, 0.000, 0.500) and Ir at (0.250, 0.250, 0.250).

---

(7)
USnIr: optimized geometry, GGA-PBE.

The calculation puts the formation energy at -45.0 kJ/mol of atoms. The calculation puts the density at 14.3 g/cm3.

It has space group P-62m (No. 189), with a = 7.3800 Å, b = 7.3800 Å, c = 4.0617 Å, α = 90.00°, β = 90.00° and γ = 120.00°. The asymmetric unit holds U at (0.0000, 0.5837, 0.0000), Sn at (0.0000, 0.2529, 0.5000), Ir at (0.0000, 0.0000, 0.0000) and Ir at (0.3333, 0.6667, 0.5000).

---

(8)
YSnIr: optimized geometry, GGA-PBE.

The calculation puts the formation energy at -80.2 kJ/mol of atoms. The calculation puts the density at 10.3 g/cm3.

It has space group Pnma (No. 62), with a = 7.008 Å, b = 4.593 Å, c = 8.037 Å, α = 90.00°, β = 90.00° and γ = 90.00°. The asymmetric unit holds Y at (0.020, 0.250, 0.190), Sn at (0.168, 0.250, 0.573) and Ir at (0.229, 0.750, 0.398).

---

(9)
TaIr3: optimized geometry, GGA-PBE.

The calculation puts the formation energy at -67.6 kJ/mol of atoms. The calculation puts the density at 20.8 g/cm3.

It has space group Pm-3m (No. 221), with a = 3.928 Å, b = 3.928 Å, c = 3.928 Å, α = 90.00°, β = 90.00° and γ = 90.00°. The asymmetric unit holds Ta at (0.000, 0.000, 0.000) and Ir at (0.000, 0.500, 0.500).

---

(10)
TaIr: optimized geometry, GGA-PBE.

The calculation puts the formation energy at -57.9 kJ/mol of atoms. The calculation puts the density at 19.2 g/cm3.
********

Repeat everything earlier on verbatim.

(1)
SnIr3: optimized geometry, GGA-PBE.

The calculation puts the formation energy at 3.7 kJ/mol of atoms. The calculation puts the density at 18.2 g/cm3.

It has space group P6_3/mmc (No. 194), with a = 5.6860 Å, b = 5.6860 Å, c = 4.5379 Å, α = 90.00°, β = 90.00° and γ = 120.00°. The asymmetric unit holds Sn at (0.3333, 0.6667, 0.2500) and Ir at (0.1628, 0.3256, 0.7500).

---

(2)
Sn7Ir3: optimized geometry, GGA-PBE.

The calculation puts the formation energy at -25.5 kJ/mol of atoms. The calculation puts the density at 10.8 g/cm3.

It has space group Im-3m (No. 229), with a = 9.522 Å, b = 9.522 Å, c = 9.522 Å, α = 90.00°, β = 90.00° and γ = 90.00°. The asymmetric unit holds Sn at (0.000, 0.250, 0.500), Sn at (0.165, 0.165, 0.165) and Ir at (0.000, 0.000, 0.342).

---

(3)
Sn4Ir: optimized geometry, GGA-PBE.

The calculation puts the formation energy at -19.8 kJ/mol of atoms. The calculation puts the density at 9.3 g/cm3.

It has space group I4_1/acd (No. 142, origin choice 2), with a = 6.417 Å, b = 6.417 Å, c = 23.212 Å, α = 90.00°, β = 90.00° and γ = 90.00°. The asymmetric unit holds Sn at (0.173, 0.076, 0.438) and Ir at (0.000, 0.250, 0.125).

---

(4)
Sn4Ir: optimized geometry, GGA-PBE.

The calculation puts the formation energy at -19.0 kJ/mol of atoms. The calculation puts the density at 9.3 g/cm3.

It has space group Ccce (No. 68, origin choice 2), with a = 6.447 Å, b = 11.484 Å, c = 6.426 Å, α = 90.00°, β = 90.00° and γ = 90.00°. The asymmetric unit holds Sn at (0.173, 0.125, 0.077) and Ir at (0.000, 0.250, 0.750).

---

(5)
Sn7Ir5: optimized geometry, GGA-PBE.

The calculation puts the formation energy at -25.8 kJ/mol of atoms. The calculation puts the density at 12.1 g/cm3.

It has space group I4mm (No. 107), with a = 8.677 Å, b = 8.677 Å, c = 6.548 Å, α = 90.00°, β = 90.00° and γ = 90.00°. The asymmetric unit holds Sn at (0.000, 0.000, 0.000), Sn at (0.000, 0.500, 0.486), Sn at (0.215, 0.215, 0.390), Ir at (0.000, 0.000, 0.401) and Ir at (0.000, 0.243, 0.724).

---

(6)
TiSnIr: optimized geometry, GGA-PBE.

The calculation puts the formation energy at -54.9 kJ/mol of atoms. The calculation puts the density at 9.9 g/cm3.

It has space group F-43m (No. 216), with a = 6.212 Å, b = 6.212 Å, c = 6.212 Å, α = 90.00°, β = 90.00° and γ = 90.00°. The asymmetric unit holds Ti at (0.000, 0.000, 0.000), Sn at (0.000, 0.000, 0.500) and Ir at (0.250, 0.250, 0.250).

---

(7)
USnIr: optimized geometry, GGA-PBE.

The calculation puts the formation energy at -45.0 kJ/mol of atoms. The calculation puts the density at 14.3 g/cm3.

It has space group P-62m (No. 189), with a = 7.3800 Å, b = 7.3800 Å, c = 4.0617 Å, α = 90.00°, β = 90.00° and γ = 120.00°. The asymmetric unit holds U at (0.0000, 0.5837, 0.0000), Sn at (0.0000, 0.2529, 0.5000), Ir at (0.0000, 0.0000, 0.0000) and Ir at (0.3333, 0.6667, 0.5000).

---

(8)
YSnIr: optimized geometry, GGA-PBE.

The calculation puts the formation energy at -80.2 kJ/mol of atoms. The calculation puts the density at 10.3 g/cm3.

It has space group Pnma (No. 62), with a = 7.008 Å, b = 4.593 Å, c = 8.037 Å, α = 90.00°, β = 90.00° and γ = 90.00°. The asymmetric unit holds Y at (0.020, 0.250, 0.190), Sn at (0.168, 0.250, 0.573) and Ir at (0.229, 0.750, 0.398).

---

(9)
TaIr3: optimized geometry, GGA-PBE.

The calculation puts the formation energy at -67.6 kJ/mol of atoms. The calculation puts the density at 20.8 g/cm3.

It has space group Pm-3m (No. 221), with a = 3.928 Å, b = 3.928 Å, c = 3.928 Å, α = 90.00°, β = 90.00° and γ = 90.00°. The asymmetric unit holds Ta at (0.000, 0.000, 0.000) and Ir at (0.000, 0.500, 0.500).

---

(10)
TaIr: optimized geometry, GGA-PBE.

The calculation puts the formation energy at -57.9 kJ/mol of atoms. The calculation puts the density at 19.2 g/cm3.